**Data**
____________
Record 1
Material: AcSc3Pb2
Method: DFT, PBE-GGA
State: optimized geometry

a b c (Å): 4.7091 9.4017 9.3089
angles (deg): 116.46 90.00 104.50
Sites, in units of the cell vectors:
Sc 0.4147 0.8294 0.3403
Sc 0.5853 0.1706 0.6597
Sc 0.0532 0.1063 0.3993
Sc 0.3096 0.6192 0.5483
Sc 0.9468 0.8937 0.6007
Sc 0.6904 0.3808 0.4517
Pb 0.5199 0.0397 0.1773
Pb 0.4801 0.9603 0.8227
Pb 0.2040 0.4081 0.7312
Pb 0.7960 0.5919 0.2688
Ac 0.8602 0.7205 0.9265
Ac 0.1398 0.2795 0.0735

The crystal system is monoclinic. The calculation puts the energy relative to the elements at -192 kJ/mol of formula units. The calculated volume is 177.1 Å³/f.u.

***

Record 2
Material: BePb
Method: DFT, PBE-GGA
State: optimized geometry

a b c (Å): 3.4561 3.4561 3.4561
angles (deg): 90.00 90.00 90.00
Sites, in units of the cell vectors:
Be 0.0000 0.0000 0.0000
Pb 0.5000 0.5000 0.5000

The crystal system is cubic. The calculation puts the energy relative to the elements at 157 kJ/mol of formula units. For the energy above the most stable polymorph in this dataset, the calculation gives 0.509 eV/atom. The calculated volume is 41.3 Å³/f.u.

* * * * *

Record 1
## Ti2Hg2Pb (GGA-PBE)

Data for a relaxed structure of Ti2Hg2Pb.

Results
Relative energy among the computed polymorphs in eV/atom: 0.000
Symmetry: P4/mbm
E_form in eV per atom: 0.138

abc: 7.296 7.296 4.092
angles: 90.00 90.00 90.00
Last column: magnetic moment on the atom in μB.
Sites, in units of the cell vectors:
Pb (0.500, 0.500, 0.000)  -0.01
Hg (0.340, 0.160, 0.500)  0.01
Hg (0.660, 0.840, 0.500)  0.01
Hg (0.840, 0.340, 0.500)  0.01
Ti (0.867, 0.633, 0.000)  0.62
Hg (0.160, 0.660, 0.500)  0.01
Ti (0.367, 0.867, 0.000)  0.60
Ti (0.133, 0.367, 0.000)  0.62
Ti (0.633, 0.133, 0.000)  0.60
Pb (0.000, 0.000, 0.000)  -0.01



Record 2
## In2Ga2GeRh5 (GGA-PBE)

Data for a relaxed structure of In2Ga2GeRh5.

Results
Symmetry: P4/mbm
E_form in eV per atom: -0.429

abc: 3.010 10.397 10.397
angles: 90.00 90.00 90.00
Sites, in units of the cell vectors:
Rh (0.500, 0.163, 0.119)
Ge (0.000, 0.000, 0.000)
Rh (0.500, 0.119, 0.837)
Rh (0.500, 0.837, 0.881)
Rh (0.500, 0.337, 0.619)
Ga (0.000, 0.861, 0.361)
Ga (0.000, 0.639, 0.861)
Rh (0.500, 0.381, 0.337)
In (0.000, 0.157, 0.343)
Ge (0.000, 0.500, 0.500)
Rh (0.500, 0.500, 0.000)
Rh (0.500, 0.663, 0.381)
In (0.000, 0.657, 0.157)
Rh (0.500, 0.881, 0.163)
Ga (0.000, 0.139, 0.639)
Ga (0.000, 0.361, 0.139)
In (0.000, 0.843, 0.657)
In (0.000, 0.343, 0.843)
Rh (0.500, 0.619, 0.663)
Rh (0.500, 0.000, 0.500)



Record 3
## Ca3Ga7Rh4 (GGA-PBE)

Data for a relaxed structure of Ca3Ga7Rh4.

Results
Symmetry: C2/m
E_form in eV per atom: -0.608

abc: 4.298 8.146 8.395
angles: 68.36 75.17 74.70
Sites, in units of the cell vectors:
Ca (0.307, 0.185, 0.200)
Ga (0.500, 0.219, 0.780)
Rh (0.664, 0.466, 0.206)
Ga (0.000, 0.000, 0.000)
Ca (0.000, 0.500, 0.500)
Ga (0.317, 0.832, 0.533)
Ga (0.845, 0.386, 0.923)
Ca (0.693, 0.815, 0.800)
Ga (0.155, 0.614, 0.077)
Rh (0.336, 0.534, 0.794)
Ga (0.500, 0.781, 0.220)
Rh (0.882, 0.902, 0.333)
Rh (0.118, 0.098, 0.667)
Ga (0.683, 0.168, 0.467)
____________

**Wanted**
Please find the line above that holds "(0.500, 0.619,", then reproduce that line and all lines after it there.

**Solution**
Rh (0.500, 0.619, 0.663)
Rh (0.500, 0.000, 0.500)



Record 3
## Ca3Ga7Rh4 (GGA-PBE)

Data for a relaxed structure of Ca3Ga7Rh4.

Results
Symmetry: C2/m
E_form in eV per atom: -0.608

abc: 4.298 8.146 8.395
angles: 68.36 75.17 74.70
Sites, in units of the cell vectors:
Ca (0.307, 0.185, 0.200)
Ga (0.500, 0.219, 0.780)
Rh (0.664, 0.466, 0.206)
Ga (0.000, 0.000, 0.000)
Ca (0.000, 0.500, 0.500)
Ga (0.317, 0.832, 0.533)
Ga (0.845, 0.386, 0.923)
Ca (0.693, 0.815, 0.800)
Ga (0.155, 0.614, 0.077)
Rh (0.336, 0.534, 0.794)
Ga (0.500, 0.781, 0.220)
Rh (0.882, 0.902, 0.333)
Rh (0.118, 0.098, 0.667)
Ga (0.683, 0.168, 0.467)